Deaths from non-communicable diseases are on the rise and cancer is one of them, according to the World Health Organization (WHO). But there are few facts about a particular type of cancer that a team of researchers from Johns Hopkins University has recently revealed.
As per their study, the risk of developing Human papillomavirus (HPV) related mouth and throat cancer is increased by having oral sex. Johns Hopkins University researchers studied 500 people, including 163 HPV‐OPC patients, to complete a behavioral survey on their sexual activities over several years. According to the study, a third of the participants had been diagnosed with HPV.
For the research, they focused on the age of people, their total number of sexual partners, the age of their "sexual initiation" and the number of individuals they performed oral sex on within a short time period.

The Finding
The researchers published their findings in the American Cancer Society's peer-reviewed journal CANCER. The study suggested that having 10 previous oral sex partners is linked to a 4.3-times greater possibility of contracting HPV-related cancer of the mouth and throat. The researchers also found that having oral sex at a younger age and more partners in a shorter time period are both associated with higher risk.
The research revealed that participants who had older sexual partners at a younger age and those with partners who engaged in extramarital sexual relations were more likely to develop cancer. But those who had never engaged in oral sex were less likely to have contracted the cancers, found the study.

Dr Virginia Drake, MD, who conducted the research, said, "Our study builds on previous research to demonstrate that it is not only the number of oral sexual partners but also other factors not previously appreciated that contribute to the risk of exposure to HPV orally and subsequent HPV-related oropharyngeal cancer."
According to the researcher, the team has uncovered additional nuances of how and why some people may develop this type of cancer. Dr Drake believes that it may help to find out those individuals who are at greater risk.
**Inserted here: materials data:**
-- begin --
Simulated PXRD pattern of K2ThP3Se9 for a wavelength of 1.5418 Å, from a crystal structure in the Materials Project, relaxed with PBE.
Intensities are scaled so that the largest is 100.

Cell and atoms:
```
K2ThP3Se9
1.0
10.344 0.000 0.000
0.244 10.698 0.000
5.042 -0.088 16.109
K Th P Se
8 4 12 36
direct
0.028 0.242 0.466
0.240 0.192 0.139
0.295 0.669 0.851
0.450 0.763 0.546
0.550 0.237 0.454
0.705 0.331 0.149
0.760 0.808 0.861
0.972 0.758 0.534
0.194 0.723 0.221
0.226 0.219 0.831
0.774 0.781 0.169
0.806 0.277 0.779
0.051 0.539 0.725
0.071 0.925 0.009
0.220 0.413 0.650
0.275 0.931 0.376
0.464 0.001 0.282
0.489 0.572 0.054
0.511 0.428 0.946
0.536 0.999 0.718
0.725 0.069 0.624
0.780 0.587 0.350
0.929 0.075 0.991
0.949 0.461 0.275
0.002 0.563 0.150
0.013 0.254 0.013
0.033 0.933 0.148
0.108 0.731 0.721
0.109 0.228 0.674
0.112 0.497 0.332
0.126 0.981 0.308
0.247 0.013 0.496
0.274 0.987 0.934
0.285 0.465 0.522
0.287 0.724 0.375
0.295 0.380 0.963
0.353 0.054 0.683
0.364 0.731 0.033
0.375 0.419 0.717
0.376 0.490 0.174
0.427 0.201 0.274
0.469 0.878 0.171
0.531 0.122 0.829
0.573 0.799 0.726
0.624 0.510 0.826
0.625 0.581 0.283
0.636 0.269 0.967
0.647 0.946 0.317
0.705 0.620 0.037
0.713 0.276 0.625
0.715 0.535 0.478
0.726 0.013 0.066
0.753 0.987 0.504
0.874 0.019 0.692
0.888 0.503 0.668
0.891 0.772 0.326
0.892 0.269 0.279
0.967 0.067 0.852
0.987 0.746 0.987
0.998 0.437 0.850
```

Principal peaks in the range 2θ from 10° to 90°, in order of rising 2θ:
| d (Å) | two_theta | I (rel.) |
| --- | --- | --- |
| 8.055 | 11.0 | 86.5 |
| 3.345 | 26.7 | 46.1 |
| 3.094 | 28.9 | 39.9 |
| 3.066 | 29.1 | 56.3 |
| 3.032 | 29.5 | 100.0 |
| 2.858 | 31.3 | 64.4 |
| 2.770 | 32.3 | 39.3 |
| 2.753 | 32.5 | 41.9 |
| 2.675 | 33.5 | 45.7 |
| 2.551 | 35.2 | 60.0 |

---

Simulated PXRD pattern of K2ThP3Se9 for a wavelength of 1.5418 Å, from a crystal structure in the Materials Project, relaxed with PBE.
Intensities are scaled so that the largest is 100.

Cell and atoms:
```
K2ThP3Se9
1.0
10.536 0.000 0.000
0.000 7.978 0.000
-9.103 0.000 20.846
K Th P Se
8 4 12 36
direct
0.059 0.101 0.323
0.059 0.399 0.823
0.258 0.588 0.500
0.258 0.912 0.000
0.742 0.088 0.000
0.742 0.412 0.500
0.941 0.601 0.177
0.941 0.899 0.677
0.396 0.093 0.646
0.396 0.407 0.146
0.604 0.593 0.854
0.604 0.907 0.354
0.120 0.123 0.158
0.120 0.377 0.658
0.280 0.587 0.693
0.280 0.913 0.193
0.430 0.112 0.486
0.430 0.388 0.986
0.570 0.612 0.014
0.570 0.888 0.514
0.720 0.087 0.807
0.720 0.413 0.307
0.880 0.623 0.342
0.880 0.877 0.842
0.073 0.531 0.343
0.073 0.969 0.843
0.137 0.214 0.068
0.137 0.286 0.568
0.206 0.718 0.117
0.206 0.782 0.617
0.222 0.172 0.726
0.222 0.328 0.226
0.238 0.023 0.494
0.238 0.477 0.994
0.294 0.676 0.788
0.294 0.824 0.288
0.424 0.195 0.393
0.424 0.305 0.893
0.480 0.045 0.209
0.480 0.455 0.709
0.480 0.707 0.434
0.480 0.793 0.934
0.520 0.207 0.066
0.520 0.293 0.566
0.520 0.545 0.291
0.520 0.955 0.791
0.576 0.695 0.107
0.576 0.805 0.607
0.706 0.176 0.712
0.706 0.324 0.212
0.762 0.523 0.006
-- stop --
The study added that those who get involved in oral sex before engaging in intercourse for the first time are at maximum risk of becoming infected with HPV—an infection that causes warts in various parts of the body, depending on the strain.
That's because initial exposure to the virus via genitals causes a "robust immune response", thus preparing the body for when the HPV is introduced orally. According to the experts, people who directly go for oral sex lack this immune response and are at extreme risk of infection.